'''
BeMoCl2F | PBE+U | relaxed

Values from the calculation:
- Crystal system: tetragonal
- Final energy: -3.224 eV/atom

a b c (Å): 4.8279 4.8279 5.0343
angles (deg): 90.00 90.00 90.00
Closest atoms and distances in Å follow each position.
Space group P4/mmm (No. 123)
Unique sites:
Be: 0.0000 0.0000 0.0000  2 Mo 2.52
Mo: 0.0000 0.0000 0.5000  4 Cl 2.41, 2 Be 2.52
Cl: 0.0000 0.5000 0.5000  2 Mo 2.41
F: 0.5000 0.5000 0.0000  4 Be 3.41, 8 Cl 3.49


Entry a
Below is crystalline NaNdPO at its relaxed geometry, with properties calculated at the PBE-GGA level.

a = 5.8004 Å, b = 5.8004 Å, c = 4.9781 Å
α = 90.00°, β = 90.00°, γ = 90.00°
With the nearest neighbours (Å) after each atom.
Fractional positions:
Na (0.2500, 0.2500, 0.0043)  2 P 2.49
Na (0.7500, 0.7500, 0.9957)  2 P 2.49
Nd (0.7500, 0.2500, 0.5000)  2 O 2.49
Nd (0.2500, 0.7500, 0.5000)  2 O 2.49
O (0.7500, 0.2500, 0.0000)  2 Nd 2.49
O (0.2500, 0.7500, 0.0000)  2 Nd 2.49
P (0.7500, 0.7500, 0.4956)  2 Na 2.49
P (0.2500, 0.2500, 0.5044)  2 Na 2.49

## Properties
- Crystal system: tetragonal

Entry b
Below is crystalline NaNdPO at its relaxed geometry, with properties calculated at the PBE-GGA level.

a = 3.7692 Å, b = 8.0171 Å, c = 6.0151 Å
α = 90.00°, β = 90.00°, γ = 90.00°
With the nearest neighbours (Å) after each atom.
Fractional positions:
Na (0.0000, 0.9122, 0.0225)  2 O 2.20-2.29
Na (0.0000, 0.0878, 0.5225)  2 O 2.20-2.29
Nd (0.5000, 0.6902, 0.4274)  2 O 2.21
Nd (0.5000, 0.3098, 0.9274)  2 O 2.21
O (0.0000, 0.8321, 0.3887)  2 Na 2.20-2.29, 2 Nd 2.21
O (0.0000, 0.1679, 0.8887)  2 Na 2.20-2.29, 2 Nd 2.21
P (0.5000, 0.3352, 0.4155)  2 Na 2.81, 3 Nd 2.85-3.09
P (0.5000, 0.6648, 0.9155)  2 Na 2.81, 3 Nd 2.85-3.09

## Properties
- Crystal system: orthorhombic

Q: Which of them is the least stable? A: entry a.

Entry a
Below is crystalline NaNdSeO at its relaxed geometry, with properties calculated at the PBE-GGA level.

a = 4.5282 Å, b = 7.5150 Å, c = 6.4440 Å
α = 90.00°, β = 90.00°, γ = 90.00°
With the nearest neighbours (Å) after each atom.
Fractional positions:
Na (0.0000, 0.2905, 0.1120)  2 O 2.64, 2 Se 2.88-2.89
Na (0.0000, 0.7095, 0.6120)  2 O 2.64, 2 Se 2.88-2.89
Nd (0.5000, 0.8612, 0.0280)  2 O 2.21
Nd (0.5000, 0.1388, 0.5280)  2 O 2.21
O (0.5000, 0.1217, 0.1861)  2 Nd 2.21
O (0.5000, 0.8783, 0.6861)  2 Nd 2.21
Se (0.0000, 0.6715, 0.1650)  2 Nd 2.82, 2 Na 2.88-2.89
Se (0.0000, 0.3285, 0.6650)  2 Nd 2.82, 2 Na 2.88-2.89

## Properties
- Crystal system: orthorhombic

Entry b
Below is crystalline NaNdSeO at its relaxed geometry, with properties calculated at the PBE-GGA level.

a = 6.8669 Å, b = 7.6659 Å, c = 6.6548 Å
α = 90.00°, β = 101.27°, γ = 90.00°
With the nearest neighbours (Å) after each atom.
Fractional positions:
Na (0.9018, 0.2678, 0.0078)  1 O 2.37
Na (0.0982, 0.7678, 0.4922)  1 O 2.37
Na (0.9018, 0.2322, 0.5078)  1 O 2.37
Na (0.0982, 0.7322, 0.9922)  1 O 2.37
Nd (0.5569, 0.6213, 0.2330)  3 O 2.31-2.36
Nd (0.4431, 0.1213, 0.2670)  3 O 2.31-2.36
Nd (0.5569, 0.8787, 0.7330)  3 O 2.31-2.36
Nd (0.4431, 0.3787, 0.7670)  3 O 2.31-2.36
O (0.5980, 0.3406, 0.1042)  3 Nd 2.31-2.36, 1 Na 2.37
O (0.4020, 0.8406, 0.3958)  3 Nd 2.31-2.36, 1 Na 2.37
O (0.5980, 0.1594, 0.6042)  3 Nd 2.31-2.36, 1 Na 2.37
O (0.4020, 0.6594, 0.8958)  3 Nd 2.31-2.36, 1 Na 2.37
Se (0.8067, 0.9287, 0.1716)  4 Na 2.90-3.20, 3 Nd 2.99-3.11
Se (0.1933, 0.4287, 0.3284)  4 Na 2.90-3.20, 3 Nd 2.99-3.11
Se (0.8067, 0.5713, 0.6716)  4 Na 2.90-3.20, 3 Nd 2.99-3.11
Se (0.1933, 0.0713, 0.8284)  4 Na 2.90-3.20, 3 Nd 2.99-3.11

## Properties
- Crystal system: monoclinic

Q: Which of them is the least stable? A: entry a.

Entry a
Below is crystalline NaNdSeO at its relaxed geometry, with properties calculated at the PBE-GGA level.

a = 5.7969 Å, b = 5.7915 Å, c = 11.2045 Å
α = 90.00°, β = 107.78°, γ = 90.00°
With the nearest neighbours (Å) after each atom.
Fractional positions:
Na (0.9470, 0.1396, 0.4076)  5 Se 2.92-3.12
Na (0.4440, 0.6376, 0.4076)  5 Se 2.93-3.10
Na (0.5560, 0.1376, 0.5924)  5 Se 2.93-3.10
'''

The reader should give back all of the notes above without additions.

BeMoCl2F | PBE+U | relaxed

Values from the calculation:
- Crystal system: tetragonal
- Final energy: -3.224 eV/atom

a b c (Å): 4.8279 4.8279 5.0343
angles (deg): 90.00 90.00 90.00
Closest atoms and distances in Å follow each position.
Space group P4/mmm (No. 123)
Unique sites:
Be: 0.0000 0.0000 0.0000  2 Mo 2.52
Mo: 0.0000 0.0000 0.5000  4 Cl 2.41, 2 Be 2.52
Cl: 0.0000 0.5000 0.5000  2 Mo 2.41
F: 0.5000 0.5000 0.0000  4 Be 3.41, 8 Cl 3.49


Entry a
Below is crystalline NaNdPO at its relaxed geometry, with properties calculated at the PBE-GGA level.

a = 5.8004 Å, b = 5.8004 Å, c = 4.9781 Å
α = 90.00°, β = 90.00°, γ = 90.00°
With the nearest neighbours (Å) after each atom.
Fractional positions:
Na (0.2500, 0.2500, 0.0043)  2 P 2.49
Na (0.7500, 0.7500, 0.9957)  2 P 2.49
Nd (0.7500, 0.2500, 0.5000)  2 O 2.49
Nd (0.2500, 0.7500, 0.5000)  2 O 2.49
O (0.7500, 0.2500, 0.0000)  2 Nd 2.49
O (0.2500, 0.7500, 0.0000)  2 Nd 2.49
P (0.7500, 0.7500, 0.4956)  2 Na 2.49
P (0.2500, 0.2500, 0.5044)  2 Na 2.49

## Properties
- Crystal system: tetragonal

Entry b
Below is crystalline NaNdPO at its relaxed geometry, with properties calculated at the PBE-GGA level.

a = 3.7692 Å, b = 8.0171 Å, c = 6.0151 Å
α = 90.00°, β = 90.00°, γ = 90.00°
With the nearest neighbours (Å) after each atom.
Fractional positions:
Na (0.0000, 0.9122, 0.0225)  2 O 2.20-2.29
Na (0.0000, 0.0878, 0.5225)  2 O 2.20-2.29
Nd (0.5000, 0.6902, 0.4274)  2 O 2.21
Nd (0.5000, 0.3098, 0.9274)  2 O 2.21
O (0.0000, 0.8321, 0.3887)  2 Na 2.20-2.29, 2 Nd 2.21
O (0.0000, 0.1679, 0.8887)  2 Na 2.20-2.29, 2 Nd 2.21
P (0.5000, 0.3352, 0.4155)  2 Na 2.81, 3 Nd 2.85-3.09
P (0.5000, 0.6648, 0.9155)  2 Na 2.81, 3 Nd 2.85-3.09

## Properties
- Crystal system: orthorhombic

Q: Which of them is the least stable? A: entry a.

Entry a
Below is crystalline NaNdSeO at its relaxed geometry, with properties calculated at the PBE-GGA level.

a = 4.5282 Å, b = 7.5150 Å, c = 6.4440 Å
α = 90.00°, β = 90.00°, γ = 90.00°
With the nearest neighbours (Å) after each atom.
Fractional positions:
Na (0.0000, 0.2905, 0.1120)  2 O 2.64, 2 Se 2.88-2.89
Na (0.0000, 0.7095, 0.6120)  2 O 2.64, 2 Se 2.88-2.89
Nd (0.5000, 0.8612, 0.0280)  2 O 2.21
Nd (0.5000, 0.1388, 0.5280)  2 O 2.21
O (0.5000, 0.1217, 0.1861)  2 Nd 2.21
O (0.5000, 0.8783, 0.6861)  2 Nd 2.21
Se (0.0000, 0.6715, 0.1650)  2 Nd 2.82, 2 Na 2.88-2.89
Se (0.0000, 0.3285, 0.6650)  2 Nd 2.82, 2 Na 2.88-2.89

## Properties
- Crystal system: orthorhombic

Entry b
Below is crystalline NaNdSeO at its relaxed geometry, with properties calculated at the PBE-GGA level.

a = 6.8669 Å, b = 7.6659 Å, c = 6.6548 Å
α = 90.00°, β = 101.27°, γ = 90.00°
With the nearest neighbours (Å) after each atom.
Fractional positions:
Na (0.9018, 0.2678, 0.0078)  1 O 2.37
Na (0.0982, 0.7678, 0.4922)  1 O 2.37
Na (0.9018, 0.2322, 0.5078)  1 O 2.37
Na (0.0982, 0.7322, 0.9922)  1 O 2.37
Nd (0.5569, 0.6213, 0.2330)  3 O 2.31-2.36
Nd (0.4431, 0.1213, 0.2670)  3 O 2.31-2.36
Nd (0.5569, 0.8787, 0.7330)  3 O 2.31-2.36
Nd (0.4431, 0.3787, 0.7670)  3 O 2.31-2.36
O (0.5980, 0.3406, 0.1042)  3 Nd 2.31-2.36, 1 Na 2.37
O (0.4020, 0.8406, 0.3958)  3 Nd 2.31-2.36, 1 Na 2.37
O (0.5980, 0.1594, 0.6042)  3 Nd 2.31-2.36, 1 Na 2.37
O (0.4020, 0.6594, 0.8958)  3 Nd 2.31-2.36, 1 Na 2.37
Se (0.8067, 0.9287, 0.1716)  4 Na 2.90-3.20, 3 Nd 2.99-3.11
Se (0.1933, 0.4287, 0.3284)  4 Na 2.90-3.20, 3 Nd 2.99-3.11
Se (0.8067, 0.5713, 0.6716)  4 Na 2.90-3.20, 3 Nd 2.99-3.11
Se (0.1933, 0.0713, 0.8284)  4 Na 2.90-3.20, 3 Nd 2.99-3.11

## Properties
- Crystal system: monoclinic

Q: Which of them is the least stable? A: entry a.

Entry a
Below is crystalline NaNdSeO at its relaxed geometry, with properties calculated at the PBE-GGA level.

a = 5.7969 Å, b = 5.7915 Å, c = 11.2045 Å
α = 90.00°, β = 107.78°, γ = 90.00°
With the nearest neighbours (Å) after each atom.
Fractional positions:
Na (0.9470, 0.1396, 0.4076)  5 Se 2.92-3.12
Na (0.4440, 0.6376, 0.4076)  5 Se 2.93-3.10
Na (0.5560, 0.1376, 0.5924)  5 Se 2.93-3.10